Our Vision
We will strive to help students who come into our portals, to blossom into confident, compassionate, caring and articulate members of society who will effectively contribute towards the development of our nation. To go beyond merely teaching the students subjects chosen by them and encourage as well as nurture their inquisitive and innovative spirit. To this end, we will additionally impart them the necessary life and vocational skills designed to help in flowering of their personalities and also enhancing their employability and entrepreneurship qualities.
Our Mission
During the academic year 2022-23, we will strive to, besides raising the academic standards through innovative and improved teaching, give our students choices for learning different vocational and personality development skills, arranged in collaboration with reputed institutes and individuals of eminence in their respective fields, with a view to assist them in developing their overall personalities and enhancing their employability and entrepreneurship qualities consistent with our overall vision.
It is indeed a matter of great pride that starting from a modest beginning as 'Hindu Girls School' in 1895, the Mahila Vidyalaya Degree College has traversed...
When the Hindu Girls School was established in 1895, it was a visionary and pioneering attempt to empower girls through quality education particularly at...
Once again, the students are standing at our portal with dreams in their eyes. While welcoming them, we at the Mahila Vidyalaya Degree College...
The UG courses is integrated with value based modules and co-curricular activities to ensure the all round development of a child.
_What comes next are records of molecules, not part of the page_
(1)
71
Properties=species:S:1:pos:R:3:mulliken_charge:R:1 method="wB97M-V/def2-TZVPD" total_charge=+2 relative_energy_kcal_mol=0.0 e_lumo_ev=-5.5
Pd 0.8824 -0.0868 0.4531 0.92
C -3.0406 -2.1970 -1.6486 -1.63
C -1.7300 -1.5230 -2.0306 1.50
C -1.6631 -1.2396 -3.5215 -1.73
O -0.6767 -2.4284 -1.6515 -0.41
C -1.6240 -0.2076 -1.2342 0.07
O -2.1273 0.7986 -1.6807 -0.61
O -1.0523 -0.2473 -0.0379 -0.79
H -3.1228 -3.1545 -2.1620 0.40
H -3.8836 -1.5696 -1.9323 0.42
H -3.0993 -2.3699 -0.5708 0.22
H -1.7766 -2.1709 -4.0758 0.42
H -0.7070 -0.7809 -3.7864 0.46
H -2.4482 -0.5476 -3.8149 0.37
H 0.1384 -2.0840 -2.0276 0.37
C 9.0896 10.1164 4.1478 -0.85
O 7.7557 10.1771 3.6555 -0.45
C 7.1337 9.0291 3.3521 0.92
C 5.8235 9.1522 2.8746 -0.60
C 5.1021 8.0344 2.5365 -0.53
C 5.6637 6.7577 2.6646 0.34
C 6.9668 6.6447 3.1370 -0.74
C 7.7062 7.7636 3.4816 -0.68
C 4.8639 5.5985 2.2965 0.40
N 3.6554 5.6447 1.7683 -0.80
C 3.2881 4.3494 1.5907 0.51
C 4.2814 3.4821 2.0131 -0.18
N 5.2848 4.3020 2.4645 -0.11
C 4.1585 2.0683 1.9419 0.35
C 5.0959 1.1126 2.3756 -0.28
C 4.8075 -0.2229 2.2581 -1.10
C 3.5982 -0.6267 1.6824 0.13
N 2.7146 0.2546 1.2502 -0.57
C 2.9584 1.5846 1.3929 0.38
C 1.9127 2.4711 0.9830 0.08
N 0.7682 1.8972 0.5130 -0.33
C -0.2303 2.6546 0.0901 -0.03
C -0.1386 4.0534 0.1246 -1.14
C 0.9905 4.6568 0.6128 -0.26
C 2.0561 3.8545 1.0590 0.46
H 9.3861 11.1443 4.3279 0.25
H 9.7581 9.6686 3.4101 0.35
H 9.1356 9.5551 5.0830 0.35
H 5.4015 10.1434 2.7818 0.44
H 4.0902 8.1288 2.1681 0.48
H 7.4454 5.6774 3.2402 0.21
H 8.7164 7.6435 3.8424 0.41
H 6.1635 4.0273 2.8660 0.18
H 6.0347 1.4268 2.8131 0.48
H 5.5009 -0.9768 2.6012 0.45
H 3.3510 -1.6718 1.5644 0.33
H -1.1103 2.1478 -0.2855 0.56
H -0.9761 4.6322 -0.2366 0.47
H 1.0877 5.7333 0.6622 0.64
N 2.4503 -5.3246 0.2679 -0.20
C 1.0675 -4.8383 -0.0657 -1.01
P 0.7839 -3.4447 1.1130 0.93
O 1.5192 -3.8848 2.3274 -0.84
O 1.2166 -2.1633 0.4239 -0.38
C -1.0537 -3.4996 1.3479 -0.47
N -1.6197 -2.2164 1.9019 0.05
H 3.1686 -4.7208 -0.1339 0.33
H 2.6235 -6.2790 -0.0482 0.37
H 2.5339 -5.2573 1.3012 0.37
H 0.3849 -5.6531 0.1747 0.45
H 0.9855 -4.5955 -1.1211 0.39
H -1.3168 -4.3045 2.0300 0.46
H -1.5097 -3.6498 0.3721 0.25
H -1.0702 -1.4207 1.5602 -0.02
H -1.6198 -2.2065 2.9214 0.46
H -2.5655 -2.0367 1.5654 0.37


(2)
12
Properties=species:S:1:pos:R:3:mulliken_charge:R:1 method="wB97M-V/def2-TZVPD" total_charge=0 relative_energy_kcal_mol=24.6 e_lumo_ev=0.9 smiles="O=C1CCOC1"
O 0.7575 2.0429 0.7709 -0.56
C 0.4131 1.0184 0.2364 0.46
C -1.0002 0.5678 -0.1529 -0.46
C -0.7668 -0.9675 -0.0874 -0.43
O 0.5317 -1.1418 -0.6400 -0.36
C 1.3391 -0.1603 -0.0416 -0.33
H -1.2682 0.8292 -1.1761 0.26
H -1.7121 1.0565 0.5322 0.31
H -0.8062 -1.1587 0.9887 0.27
H -1.3931 -1.6857 -0.6358 0.31
H 2.1568 0.1246 -0.7085 0.29
H 1.7483 -0.5252 0.9142 0.25


(3)
17
Properties=species:S:1:pos:R:3:mulliken_charge:R:1 method="wB97M-V/def2-TZVPD" total_charge=0 relative_energy_kcal_mol=80.1 e_lumo_ev=-0.6
H 2.3152 0.3170 -1.3860 0.27
N 1.8325 -0.1484 -0.6163 -0.61
_The page goes on_
Intermediate Science (with Biology group) or equivalent examination. For General and Other Backward Classes candidates must secure atleast 40% of marks and for Scheduled Castes...
The minimum marks required for General and Other Backward Classes candidates is 40% of marks* in Intermediate or equivalent examination and for Scheduled Castes and Scheduled...
Admission in B.Ed. is permissible to the selected candidates of State Joint Entrance Test who have allotted Mahila Vidyalaya in state counseling.
The history of Mahila Vidyalaya is one of a glorious past of more than a century, full of growth in service as well as scholarship.
Inserted here: molecular data:
~~~
Density functional theory data (ωB97M-V/def2-TZVPD) for a structure of composition C33H47BCrN4O2P2 at a distorted geometry.

Results
Energy (eV): -92711.6774
Frontier orbital gap (spin up / spin down) (eV): 6.97 / 6.08
LUMO energy (spin up / spin down) (eV): 0.35 / -0.04
⟨S²⟩: 6.090
HOMO level (spin up / spin down) (eV): -6.63 / -6.12

```
! wB97M-V def2-TZVPD RIJCOSX def2/J DEFGRID3
* xyz 0 5
Cr 0.3288 0.4452 1.5521
C -1.6671 1.8601 -6.0644
C -1.7263 0.6082 -5.5995
C -0.9541 -0.5666 -6.1356
C 0.4843 -0.2889 -6.6369
C 1.3647 0.5603 -5.7645
C 1.4218 1.8911 -5.8113
C 0.6643 2.7654 -6.7837
C -0.7699 2.3336 -7.1658
C 1.4720 0.6974 3.3907
H -2.3660 2.6225 -5.7191
H -2.4450 0.3456 -4.8179
H -1.5073 -1.0484 -6.9794
H -0.9397 -1.3434 -5.3391
H 0.9767 -1.2704 -6.7525
H 0.4288 0.1493 -7.6446
H 2.0381 -0.0136 -5.1252
H 2.1156 2.4489 -5.1757
H 1.2293 2.8768 -7.7375
H 0.6508 3.7880 -6.3559
H -1.2594 3.2136 -7.6249
H -0.7105 1.5697 -7.9546
H 1.3332 1.5819 4.0468
H 2.3281 1.0169 2.7484
H 1.8871 -0.1545 3.9640
P 1.9136 -0.4358 0.2679
P -1.0843 -0.7689 0.2860
N 2.9625 0.8368 -0.3083
N 2.9963 -1.6972 0.7899
N -1.9181 0.5034 -0.5894
N -2.4486 -1.7291 0.6964
C 1.2106 -1.0928 -1.2847
C -0.1943 -1.6851 -1.0610
C 2.8719 2.1799 0.0938
C 3.8486 2.9022 -0.5748
C 4.5495 1.9916 -1.4377
C 3.9759 0.7352 -1.2576
C 3.9181 -1.5614 1.8368
C 4.7256 -2.6942 1.8791
C 4.2724 -3.5792 0.8387
C 3.1983 -2.9567 0.2114
C -1.9489 1.8502 -0.1773
C -2.2407 2.6365 -1.2880
C -2.3524 1.7559 -2.4203
C -2.2097 0.4597 -1.9456
C -3.5032 -2.0212 -0.1761
C -4.3594 -2.9168 0.4439
C -3.8140 -3.1959 1.7469
C -2.6555 -2.4518 1.8799
H 1.8886 -1.8489 -1.7082
H 1.1645 -0.2109 -1.9549
H -0.7588 -1.6624 -2.0071
H -0.1636 -2.7380 -0.7169
H 2.1080 2.4802 0.7908
H 4.0205 3.9636 -0.4854
H 5.3554 2.2563 -2.1055
H 4.1952 -0.2079 -1.7274
H 3.8924 -0.6907 2.4683
H 5.5258 -2.8873 2.5737
H 4.6733 -4.5530 0.6079
H 2.5347 -3.3092 -0.5645
H -1.8198 2.1024 0.8651
H -2.3585 3.7149 -1.3308
H -2.4877 2.0482 -3.4575
H -2.3105 -0.5043 -2.4401
H -3.5611 -1.5322 -1.1370
H -5.2591 -3.3333 0.0099
H -4.2328 -3.8829 2.4702
H -1.9617 -2.3546 2.7038
C 0.4480 -0.5241 6.5176
C -0.7494 -0.6856 5.5685
C -1.6492 -1.7699 6.1226
O -0.2507 -1.1240 4.2828
B -0.1755 0.0664 3.5096
O -0.9695 1.1438 4.0380
C -1.5187 0.6790 5.2659
C -3.0180 0.4734 5.0513
C -1.2905 1.7940 6.2652
H 0.8867 -1.5120 6.6740
H 0.1048 -0.1728 7.5097
H 1.2440 0.1167 6.1140
H -1.1101 -2.7296 6.1301
H -1.9499 -1.5275 7.1535
H -2.5673 -1.8541 5.5182
H -3.5556 0.2477 5.9893
H -3.4299 1.4094 4.6592
H -3.2034 -0.3188 4.3072
H -0.2311 2.0397 6.3727
H -1.8124 2.6980 5.8973
H -1.7396 1.5462 7.2355
*
```
~~~
So much for the molecular data:
Techniques that move away from the “traditional chalk and talk” method shall be adopted. Children are encouraged to...
The college incorporates fully functional and furnished laboratories with latest equipments for different subjects.
The library is equipped with numerous books. Periodicals and encyclopedia. It has also interactive computers and CD.
The College has huge sporting arena with Football, Volleyball and basketball courts and a Cricket net practice ...
The College is actively conscious of its responsibility towards nature. Students are taught to appreciate nature ...
Besides the colorful events dotting our academic session, we have regular Hobby classes in College, Such as Clay modeling, Casio, Karate, Cricket, Classical Dance etc.